
"Brainstorm" was the catch word at the trial of the century. Harry Kendall Thaw had shot and killed architect Stanford White (September 11, 1853 - June 25, 1906) over their mutual interest - the chorus girl Evelyn Nesbit. Shaw pleaded insanity. Dr. Britton D. Evans testified in February 1907 that Shaw suffered from "brainstorms," and the slang word entered into general use almost immediately.
Harry Kendall Thaw (February 12, 1871 - February 22, 1947), son of Pittsburgh coal and railroad baron William Thaw.
There were two trials. At the first, the jury was deadlocked: at the second, pleading insanity, Evelyn testified. Thaw's mother told Evelyn that if she would testify that Stanford White abused her and that Harry only tried to protect her, she'd receive a divorce from Harry Thaw and one million dollars in compensation. She did just that, and performed in court wonderfully: he was found not guilty Evelyn got the divorce, but not the money. Thaw was incarcerated at the Asylum for the Criminally Insane at Matteawan (now Beacon), New York, enjoying nearly complete freedom. In 1913 he walked out of the asylum and was driven over the border to Sherbrooke, Quebec. He was extradited back to the United States, where he had become something of a folk hero. In 1915 another jury found him sane.

Attached: calculated molecules =
********
The following is a quantum chemistry calculation of a 21-piece molecular cluster, C84H147N21 overall in a non-equilibrium geometry, from OMol25.

The geometry in XYZ format:
```
252
Properties=species:S:1:pos:R:3:mulliken_charge:R:1
C -3.596 2.103 -2.344 -0.160
C -5.115 2.268 -2.474 -0.206
C -5.483 3.615 -3.074 0.413
C -6.935 3.854 -3.336 -0.055
N -8.081 4.101 -3.523 -0.555
H -3.065 2.249 -3.284 0.538
H -3.373 1.063 -2.106 -0.040
H -3.182 2.640 -1.490 -0.469
H -5.469 2.157 -1.449 0.079
H -5.480 1.436 -3.077 0.374
H -5.041 3.610 -4.071 0.381
H -5.047 4.442 -2.515 -0.449
C 1.452 -1.739 8.314 -0.964
C 2.200 -0.440 7.961 -0.794
C 2.318 -0.294 6.399 -0.409
C 1.043 -0.272 5.609 0.198
N 0.079 -0.306 5.003 -0.326
H 0.431 -1.860 7.954 0.285
H 1.446 -1.845 9.399 0.404
H 1.950 -2.642 7.959 0.210
H 3.183 -0.244 8.389 0.412
H 1.665 0.451 8.291 0.324
H 2.950 -1.069 5.966 0.282
H 2.894 0.593 6.134 0.481
C -0.887 -4.589 -5.758 -1.526
C -0.498 -3.297 -4.979 0.079
C -0.009 -3.643 -3.564 1.824
C -0.900 -4.541 -2.787 -0.111
N -1.568 -5.202 -2.109 -0.634
H -1.695 -5.200 -5.354 0.333
H -0.016 -5.208 -5.971 0.331
H -1.181 -4.312 -6.770 0.445
H -1.446 -2.786 -4.812 -0.327
H 0.210 -2.614 -5.448 0.568
H 0.256 -2.726 -3.039 -1.044
H 0.879 -4.265 -3.677 0.115
C 1.021 6.188 -3.234 -0.585
C 2.428 6.178 -3.927 0.067
C 3.342 7.369 -3.594 -0.606
C 3.569 7.505 -2.148 0.236
N 3.727 7.622 -1.040 -0.464
H 0.453 7.001 -3.687 0.297
H 1.009 6.454 -2.177 -0.201
H 0.475 5.257 -3.388 0.320
H 2.299 6.198 -5.009 0.415
H 2.974 5.268 -3.680 -0.218
H 2.940 8.300 -3.992 0.386
H 4.282 7.173 -4.110 0.399
C -1.089 -7.097 1.677 -0.858
C 0.025 -8.196 1.751 0.160
C 0.112 -9.150 3.037 -0.219
C -1.201 -9.664 3.400 0.080
N -2.262 -9.996 3.719 -0.454
H -0.983 -6.518 2.595 0.038
H -2.111 -7.476 1.671 0.507
H -1.042 -6.394 0.846 0.228
H 0.986 -7.729 1.535 -0.409
H -0.177 -8.886 0.932 0.434
H 0.448 -8.698 3.970 0.139
H 0.667 -10.059 2.803 0.386
C -3.084 4.502 2.964 -0.588
C -2.557 3.125 2.707 1.915
C -1.712 2.558 3.853 0.888
C -0.507 3.250 4.286 -0.122
N 0.445 3.866 4.658 -0.687
H -2.234 5.181 3.034 -0.250
H -3.574 4.469 3.938 0.603
H -3.852 4.812 2.255 -0.168
H -1.895 3.084 1.842 -0.806
H -3.425 2.500 2.502 -0.686
H -1.231 1.614 3.598 -0.744
H -2.398 2.271 4.649 0.586
C -4.231 -2.794 -2.412 -0.737
C -5.704 -2.450 -2.113 0.285
C -6.705 -3.228 -3.028 -0.617
C -8.104 -2.847 -2.929 0.067
N -9.180 -2.499 -2.832 -0.407
H -3.549 -2.322 -1.705 -0.078
H -3.989 -2.391 -3.396 0.089
H -4.055 -3.864 -2.519 0.552
H -5.838 -1.375 -2.228 0.099
H -5.996 -2.705 -1.094 -0.031
H -6.595 -4.292 -2.814 0.377
H -6.461 -3.099 -4.082 0.344
C 5.820 4.833 -0.673 -1.579
C 5.113 3.487 -0.998 0.401
C 5.544 2.685 -2.164 1.353
C 5.517 3.528 -3.357 -0.099
N 5.472 4.190 -4.295 -0.645
H 5.513 5.210 0.303 0.397
H 5.578 5.632 -1.374 0.239
H 6.901 4.701 -0.713 0.409
H 4.072 3.795 -1.093 0.042
H 5.173 2.863 -0.106 -0.095
H 4.854 1.890 -2.446 -0.909
H 6.578 2.346 -2.107 0.427
C 1.806 5.625 2.082 -0.533
C 1.144 6.823 1.415 0.424
********

13 February 1907, Chicago Daily Tribune, pg. 1:
The alienist today was Dr. Britton D. Evans. He was positive in his belief that Thaw did not know he was doing when he killed Stanford White. He declared it to be his opinion that Thaw was suffering from "a brain storm or an explosive or fulminating condition of mental unsoundness" at the time he shot and killed Stanford White.

**Data records, kept here for reference:**
********
[1]
A structure of composition C7H23N8O5Tl in a non-equilibrium geometry, computed with ωB97M-V/def2-TZVPD.

Output
Net charge: +2

XYZ file:
```
44
C7H23N8O5Tl (ωB97M-V/def2-TZVPD)
Tl 19.126 -0.478 -0.743
C 15.957 -2.440 -4.101
C 16.269 -0.929 -3.670
C 15.060 -0.337 -2.992
O 17.454 -0.615 -3.184
H 16.720 -2.638 -4.850
H 14.982 -2.494 -4.582
H 15.862 -3.000 -3.176
H 16.219 -0.591 -4.734
H 15.035 0.754 -3.063
H 15.018 -0.627 -1.941
H 14.186 -0.517 -3.619
C 22.507 -0.442 -2.867
O 21.282 -0.363 -2.701
N 23.042 -0.701 -4.067
N 23.437 -0.180 -1.904
H 22.425 -0.790 -4.855
H 24.027 -0.542 -4.185
H 24.430 -0.051 -1.983
H 23.085 0.075 -0.997
C 18.178 -4.271 -1.029
O 18.210 -3.219 -0.370
N 19.078 -5.261 -0.849
N 17.091 -4.536 -1.808
H 19.836 -5.200 -0.195
H 18.842 -6.109 -1.337
H 16.337 -3.927 -1.540
H 17.236 -4.955 -2.711
C 16.991 2.931 -1.700
O 17.901 2.173 -1.295
N 16.391 2.788 -2.891
N 16.473 3.915 -0.946
H 16.654 2.092 -3.561
H 15.762 3.521 -3.163
H 16.732 3.825 0.025
H 15.712 4.458 -1.302
C 15.650 -0.866 1.231
O 16.346 -0.698 0.221
N 16.091 -1.505 2.347
N 14.384 -0.401 1.391
H 15.424 -1.458 3.091
H 17.007 -1.877 2.516
H 13.884 -0.426 2.256
H 14.067 0.111 0.584
```

[2]
The ion C12H8ClO4 with charge -1 in a non-equilibrium geometry, computed with ωB97M-V/def2-TZVPD.

Output
Net charge: -1

XYZ file:
```
25
C12H8ClO4 (ωB97M-V/def2-TZVPD)
C -1.403 1.727 3.779
C -0.894 0.735 2.787
O -0.735 1.056 1.463
C -0.296 0.043 0.797
C 0.133 0.189 -0.631
C 0.377 -0.753 -1.612
C 0.637 -0.342 -2.998
O 0.787 1.031 -3.363
C 1.255 1.116 -4.571
C 1.434 -0.136 -5.146
C 0.871 -1.070 -4.128
Cl 0.887 -2.758 -4.418
C -0.297 -1.068 1.608
C -0.494 -0.572 2.951
C -0.259 -1.236 4.168
O -0.788 -0.856 5.281
O 0.509 -2.219 4.027
H -1.107 1.576 4.819
H -1.175 2.727 3.396
H -2.453 1.647 3.768
H 0.099 1.228 -0.847
H 0.111 -1.748 -1.403
H 1.233 2.045 -4.974
H 1.765 -0.307 -6.136
H -0.199 -2.054 1.384
```

[3]
A cluster of 3 separate species, C6H19NO3 in total, computed with ωB97M-V/def2-TZVPD.

XYZ file:
```
29
C6H19NO3 (ωB97M-V/def2-TZVPD)
C -0.590 2.133 1.358
C -0.096 1.255 0.217
N -1.121 0.308 -0.226
C -2.238 1.001 -0.849
C -0.610 -0.759 -1.106
C 0.435 -0.314 -2.126
C -0.149 -1.956 -0.247
O 1.242 -2.277 -0.461
H -1.064 3.041 0.990
H 0.237 2.460 1.986
H -1.323 1.620 1.979
H 0.770 0.665 0.544
H 0.244 1.887 -0.608
H -2.628 1.761 -0.173
H -1.963 1.495 -1.795
H -3.031 0.292 -1.043
H -1.481 -1.109 -1.669
H 1.344 0.011 -1.647
H 0.043 0.506 -2.731
H 0.689 -1.138 -2.788
H -0.298 -1.744 0.805
H -0.747 -2.837 -0.500
H 1.408 -3.147 -0.084
O 0.564 -0.452 2.966
H 1.469 -0.469 2.633
H 0.076 0.080 2.327
O 2.869 -0.690 1.120
H 3.645 -0.426 0.624
H 2.304 -1.196 0.509
```

How do the records compare in orbital gap? In the order shown, they have 0.1277 0.2495 0.3410 Eh.
********
**The entry goes on:**

13 February 1907, New York Times, pg. 3:
"I observed that Harry K. Thaw exhibited a peculiar facial expression, a glaring of the eyes, a restlessness of the eyes, a suspicious viewing of the surroundings and me, watching every movement of me. I observed a nervous agitation and restlessness, such as comes from a severe brain storm, and is common in persons who have recently gone through an explosive or fulminating condition of mental unsoundness. I observed in him a peculiar condition known as logorrhea."

10 March 1907, Washington Post, pg. 3:

New York Adds a Term to Its
Slang Vocabulary
New York, Mar. 9. - Whatever happens to Harry Thaw - whether he is convicted of the murder of Stanford White or whether he is acquitted on the ground of insanity or whether the jury disagrees and there is a new trial - the case has at least made one pungent contribution to the already sufficiently large vocabulary of American slang.

**Between two parts of the article: data records**
[1]
# H16O8

A 8-piece molecular cluster, H16O8 overall in a non-equilibrium geometry (the ωB97M-V functional and the def2-TZVPD basis, OMol25).

The geometry in XYZ format:
```
24
Properties=species:S:1:pos:R:3:lowdin_charge:R:1
O -0.503 -0.355 -0.816 -0.101
H -0.998 0.264 -0.172 0.068
H 0.242 -0.510 -0.240 0.011
O -2.366 1.273 -1.545 -0.064
H -2.019 1.926 -2.206 0.084
H -2.995 1.814 -1.079 0.029
O -4.856 -0.575 -0.189 -0.043
H -4.104 -0.127 -0.526 0.001
H -5.681 -0.098 -0.364 0.069
O 3.376 -0.081 -1.046 -0.076
H 3.789 0.318 -1.824 0.039
H 2.386 -0.079 -1.212 0.054
O -3.778 -2.102 1.394 -0.095
H -3.461 -1.875 0.527 -0.005
H -4.259 -1.316 1.769 0.052
O 1.953 3.547 0.733 -0.042
H 2.492 3.691 -0.069 0.054
H 1.078 3.833 0.704 -0.012
O 4.372 -2.868 -1.299 -0.014
H 3.933 -2.984 -2.161 0.053
H 3.745 -2.629 -0.730 -0.062
O 2.570 -0.598 3.122 -0.017
H 1.888 -0.476 3.704 -0.024
H 3.197 0.009 3.525 0.042
```

HOMO = -10.5 eV
Strongest force on any atom = 0.120 hartree/bohr
ΔE to the lowest compared entry with this formula, charge and spin = 393.1 kJ/mol
Calculated total energy = -16637.9364 eV

[2]
# H16O8

A 8-piece molecular cluster, H16O8 overall in a non-equilibrium geometry (the ωB97M-V functional and the def2-TZVPD basis, OMol25).

The geometry in XYZ format:
```
24
Properties=species:S:1:pos:R:3:lowdin_charge:R:1
O -13.495 19.706 -4.298 -0.031
H -13.451 19.565 -5.243 0.080
H -13.898 20.569 -4.202 0.068
O -10.800 19.467 -3.627 -0.051
H -10.747 20.115 -2.924 0.012
H -11.722 19.211 -3.648 -0.028
O -15.636 16.005 -1.807 -0.021
H -15.806 15.322 -2.456 0.088
H -14.770 15.794 -1.458 0.081
O -15.903 19.282 0.284 0.446
H -15.608 19.391 -0.620 0.081
H -16.318 18.420 0.299 0.065
O -17.482 17.147 -0.142 0.002
H -18.396 16.866 -0.199 0.089
H -17.068 16.776 -0.921 0.011
O -14.416 18.576 -1.712 -0.017
H -13.975 18.935 -2.481 0.033
H -14.959 17.866 -2.055 0.030
O -11.931 21.460 -1.127 -0.028
H -12.519 21.806 -1.798 0.032
H -12.317 20.619 -0.880 -0.026
O -12.273 19.337 0.559 0.005
H -12.924 18.784 0.127 0.009
H -12.308 19.074 1.479 0.069
```

HOMO (spin up / spin down) = -13.3 / -13.3 eV
Strongest force on any atom = 0.058 hartree/bohr
<S²> = 0.754
Multiplicity = 2
ΔE to the lowest compared entry with this formula, charge and spin = 51.8 kJ/mol
Calculated total energy = -16629.4699 eV
Charge = +1

[3]
# H16O8

A 8-piece molecular cluster, H16O8 overall in a non-equilibrium geometry (the ωB97M-V functional and the def2-TZVPD basis, OMol25).

The geometry in XYZ format:
```
24
Properties=species:S:1:pos:R:3:lowdin_charge:R:1
O -1.460 -0.415 -2.254 -0.032
H -1.647 -0.602 -3.174 0.068
H -1.061 -1.219 -1.922 0.006
O -0.141 0.632 0.512 0.022
H -0.470 -0.125 0.027 0.028
H 0.713 0.815 0.121 0.006
O 2.410 1.653 -0.240 -0.018
H 2.489 0.706 -0.124 0.065
H 2.946 1.846 -1.009 0.089
O 0.316 -2.355 -0.763 -0.021
H 0.800 -2.935 -1.352 0.081
H 0.979 -1.761 -0.413 0.050
O -1.693 -2.985 1.296 -0.014
H -2.315 -3.441 0.728 0.044
H -0.918 -2.857 0.749 -0.015
O 1.390 0.560 2.744 0.150

The contribution is, of course, the word "brainstorm." Dr. Britton D. Evans has testified as an expert alienist in a good many murder trials, and his testimony has been frequently reported in the newspapers, but nothing that he ever said on the witness stand, or anywhere else, has made such a dent on the public mind as has the brainstorm.

It may be that this word occurs somewhere in the literature of insanity, but nobody excepting, possibly, a few professional students of that sort of thing had ever heard of it until Dr. Evans declared upon the witness stand that that was what ailed Harry Thaw on the night when he shot Stanford WHite. Dr. Evans was not the only cerebral meteorologist to size up the weather of Thaw's mind in this way. He was the pioneer, of course, but a few days later Dr. Charles G. Wagner, another expert witness for the defense, declared that brainstorm was a fine word for just such a case, and he subscribed without reservation to Dr. Evans' application of it. Both the experts explained that brainstorm was a mental fulmination, but for the general public this was an explanation that did not explain. Brainstorm was good enough for them. It got to be a catch word in the court room within a few hours after Dr. Evans first uttered it.